• File:
Entry from the Materials Project database: Na14Zr4Al4Si9S3O48 after structural relaxation (PBE).

```
Na14Zr4Al4Si9S3O48
1.0
9.0421 0.0000 0.0000
0.0010 15.6745 0.0000
0.0528 0.2316 22.2989
Na Zr Al Si S O
42 12 12 27 9 144
direct
0.0000 0.0000 0.0000
0.0000 0.6976 0.6712
0.0028 0.0250 0.3288
0.0077 0.6694 0.3284
0.0165 0.3349 0.6682
0.1268 0.8322 0.1629
0.1333 0.1686 0.8318
0.1368 0.5299 0.8332
0.1407 0.1980 0.1672
0.1420 0.5033 0.5025
0.1766 0.1838 0.5007
0.1771 0.8558 0.8362
0.1935 0.5251 0.1667
0.3151 0.0086 0.4137
0.3160 0.6811 0.2492
0.3181 0.3553 0.5877
0.3254 0.6780 0.7483
0.3264 0.0137 0.9131
0.3285 0.3566 0.0835
0.4523 0.5195 0.6720
0.4542 0.8477 0.3368
0.4677 0.1862 0.9959
0.4982 0.1980 0.6737
0.4996 0.5421 0.3286
0.5046 0.5010 0.0001
0.5101 0.8365 0.6610
0.6329 0.3388 0.1572
0.6384 0.9936 0.5016
0.6415 0.6970 0.1641
0.6436 0.0408 0.8328
0.6736 0.6862 0.4960
0.6872 0.3491 0.8400
0.6896 0.0186 0.1683
0.8128 0.1778 0.2443
0.8140 0.8541 0.5847
0.8146 0.5158 0.4118
0.8178 0.8499 0.0844
0.8206 0.5152 0.9178
0.8262 0.1817 0.7539
0.9495 0.0210 0.6732
0.9561 0.6837 0.0010
0.9630 0.3578 0.3297
0.3059 0.3566 0.4355
0.3195 0.0264 0.2697
0.3195 0.6807 0.8969
0.3222 0.0140 0.5647
0.3220 0.3533 0.9343
0.3229 0.0189 0.0629
0.8127 0.5184 0.0622
0.8193 0.5199 0.5633
0.8202 0.8523 0.4337
0.8228 0.5273 0.7712
0.8277 0.8509 0.9394
0.8318 0.1826 0.3934
0.3037 0.3480 0.7363
0.3146 0.6772 0.0985
0.3187 0.0369 0.7678
0.3214 0.3561 0.2309
0.3384 0.6874 0.3908
0.3430 0.6744 0.5998
0.7991 0.1750 0.0994
0.8024 0.1877 0.8911
0.8165 0.8560 0.7329
0.8244 0.5387 0.2661
0.8391 0.8479 0.2352
0.8431 0.1754 0.6043
0.0130 0.0194 0.1650
0.0243 0.3457 0.8315
0.1178 0.8457 0.3318
0.1284 0.5198 0.6642
0.1662 0.5010 0.3274
0.1754 0.1690 0.6667
0.1758 0.5363 0.0034
0.1819 0.2114 0.3298
0.1854 0.8286 0.0016
0.4551 0.8227 0.4987
0.4620 0.4947 0.8267
0.4638 0.5442 0.4963
0.4648 0.2053 0.8293
0.4710 0.1736 0.1649
0.5250 0.5177 0.1717
0.6013 0.6882 0.0051
0.6174 0.0197 0.6696
0.6703 0.6732 0.6649
0.6766 0.7055 0.3293
0.6773 0.9948 0.3280
0.6786 0.0457 0.9963
0.6861 0.3224 0.9987
0.9565 0.3281 0.5028
0.9663 0.0366 0.5033
0.9657 0.7125 0.8287
0.9716 0.6698 0.1667
0.9733 0.9989 0.8287
0.0411 0.6865 0.5003
0.0998 0.1861 0.0005
0.1711 0.8701 0.6697
0.4693 0.8687 0.1672
0.5307 0.8540 0.8279
0.5358 0.1868 0.5025
0.6092 0.3526 0.3292
0.6730 0.3669 0.6654
0.9705 0.3716 0.1698
0.0016 0.8384 0.9996
0.0064 0.8644 0.6725
0.0104 0.8693 0.3887
0.0110 0.1930 0.0562
0.0128 0.1748 0.9457
0.0150 0.8312 0.2728
0.0181 0.5017 0.6064
0.0185 0.5383 0.7212
0.1209 0.0385 0.2229
0.1253 0.0020 0.1079
0.1255 0.3303 0.7715
0.1288 0.6752 0.4456
0.1290 0.6933 0.5559
0.1325 0.3685 0.8876
0.1361 0.3641 0.1737
0.1425 0.3345 0.5002
0.1474 0.0336 0.5049
0.1478 0.7051 0.8296
0.1534 0.6791 0.1587
0.1575 0.0051 0.8196
0.1854 0.4398 0.3894
0.1975 0.1065 0.0034
0.1984 0.9251 0.6149
0.1996 0.5925 0.9406
0.2011 0.1032 0.7228
0.2033 0.2599 0.9986
0.2183 0.2732 0.2732
0.2184 0.7683 0.0596
0.2195 0.7606 0.3416
0.2232 0.9307 0.3252
0.2252 0.6090 0.6551
0.2297 0.4333 0.6719
0.2350 0.7840 0.6620
0.2383 0.1122 0.3291
0.2414 0.9104 0.7219
0.2430 0.5940 0.3387
0.2443 0.2484 0.3931
0.2441 0.7899 0.9380
0.2464 0.9281 0.0038
0.2495 0.5829 0.0608
0.2507 0.4504 0.2736
0.2519 0.1246 0.6068
0.2547 0.2632 0.6728
0.2581 0.4435 0.9993
0.3834 0.5889 0.8306
0.3869 0.4443 0.7708
0.3875 0.2427 0.8906
0.3888 0.1298 0.1066
0.3914 0.1084 0.8243
0.3906 0.2662 0.1756
0.3916 0.4474 0.4927
0.3920 0.5824 0.5577
0.3964 0.7796 0.4373
0.3966 0.9238 0.5032
0.3986 0.7844 0.1620
0.4028 0.9094 0.2207
0.4164 0.4323 0.1784
0.4157 0.7668 0.5594
0.4240 0.6049 0.1644
0.4269 0.6013 0.4369
0.4301 0.2681 0.7718
0.4333 0.9310 0.8228
0.4349 0.7770 0.8316
0.4356 0.2613 0.4978
0.4396 0.4415 0.8902
0.4403 0.9260 0.1141
0.4410 0.1071 0.5039
0.4484 0.1036 0.2193
0.4894 0.6813 0.6582
0.4954 0.6957 0.3351
0.4957 0.0390 0.0020
0.4968 0.0341 0.7240
0.4978 0.9999 0.3254
0.4994 0.6952 0.0646
0.5002 0.3310 0.9977
0.5046 0.6713 0.9444
0.5101 0.3605 0.6688

• Exercise:
Count the lines further above that contain the word "Na" and give the number alone.

• Result:
1